# Material
+++
(1)
# C15H21Cl3GeN4OPtS

A molecular structure, C15H21Cl3GeN4OPtS (wB97M-V/def2-TZVPD, OMol25).

XYZ file:
```
47
Properties=species:S:1:pos:R:3:forces:R:3:nbo_charge:R:1
H -2.638 5.241 -3.789 -0.02 -0.09 0.06 0.237
H 4.189 -0.017 -3.096 0.02 -0.03 0.01 0.259
Cl -3.298 -1.373 -2.681 -0.36 -0.31 -0.19 -0.515
C 1.337 -1.268 -0.263 0.53 0.20 -0.04 0.330
H 4.377 -2.314 2.430 0.01 0.01 0.00 0.254
C 3.439 -1.097 0.925 0.19 -0.21 0.61 -0.228
C -0.980 -1.221 2.583 -0.25 0.09 0.10 -0.123
O -1.425 -0.457 0.419 -0.48 0.24 -0.23 -0.664
H 4.280 -3.100 0.855 0.00 -0.04 0.04 0.233
H -3.052 -1.136 2.094 -0.07 0.08 0.08 0.261
C 3.695 0.078 -2.130 -0.02 -0.15 0.17 -0.616
Ge -4.588 -3.114 -3.881 -0.46 0.10 0.23 1.298
H 2.755 0.614 -2.272 0.02 0.03 -0.03 0.202
N 0.713 -1.218 0.898 -0.08 -0.15 0.75 -0.625
H 4.342 0.662 -1.477 -0.04 0.04 -0.01 0.234
H -0.977 5.985 -1.247 0.05 -0.09 -0.03 0.238
H -1.502 4.015 -4.385 0.02 -0.06 0.06 0.231
H -3.830 -1.420 4.464 0.00 -0.01 -0.06 0.264
N -1.079 1.885 -1.903 0.02 -0.26 0.16 -0.656
C -1.721 5.192 -1.167 -0.08 0.34 0.25 -0.403
H 2.871 -0.488 1.622 0.03 0.14 -0.07 0.229
H -0.906 5.576 -3.785 0.07 -0.08 0.07 0.239
N 2.663 -1.246 -0.307 -0.81 -0.02 -0.15 -0.259
H -2.710 5.648 -1.211 -0.02 -0.10 -0.05 0.237
C -1.853 -1.653 5.264 0.04 0.07 -0.03 -0.229
H -2.186 -1.785 6.284 0.00 -0.03 0.00 0.282
C -2.330 -1.248 2.892 0.40 0.04 -0.42 -0.013
C -0.551 -0.944 1.174 0.52 -0.13 -0.78 0.662
H -1.602 4.683 -0.215 0.02 -0.07 -0.04 0.226
C -0.510 -1.649 4.953 -0.20 -0.10 0.49 -0.025
C 3.433 -1.316 -1.550 0.18 0.36 -0.55 -0.233
S 0.525 -1.516 -1.816 -1.04 0.52 -0.37 0.285
C -1.654 4.796 -3.646 -0.10 0.27 -0.35 -0.404
N -1.556 4.255 -2.283 0.05 -0.16 0.00 -0.408
C -1.328 3.010 -2.082 0.06 0.11 -0.01 0.674
H 2.826 -2.960 1.860 0.02 -0.03 -0.02 0.211
H 0.222 -1.791 5.739 0.05 0.01 -0.07 0.267
C 3.745 -2.459 1.555 -0.06 0.10 -0.20 -0.617
H 4.375 -1.814 -1.327 -0.07 -0.12 0.07 0.249
Cl -5.888 -1.976 -5.114 0.36 -0.24 0.29 -0.259
H 4.365 -0.584 0.674 -0.07 0.07 -0.10 0.240
C -0.064 -1.455 3.604 -0.06 0.00 -0.41 0.030
Pt -1.488 -0.138 -1.788 1.37 -0.32 0.58 1.188
C -2.770 -1.448 4.241 -0.05 -0.08 0.45 0.018
Cl -5.551 -4.009 -2.203 0.20 0.14 -0.41 -0.289
H 2.892 -1.914 -2.284 0.08 -0.14 0.11 0.229
H 0.992 -1.511 3.372 0.02 0.05 0.03 0.259
```
Positions in Å, forces in eV/Å.

- Kohn-Sham gap (spin up / spin down) (eV) = 8.1023 / 4.6467
- charge = +3
- highest occupied orbital energy (spin up / spin down) (eV) = -17.31 / -17.35
- E_tot (Eh) = -4852.35243
- spin multiplicity = 6


(2)
# C13H25B3F4O17S

A molecular structure, C13H25B3F4O17S (wB97M-V/def2-TZVPD, OMol25).

XYZ file:
```
63
Properties=species:S:1:pos:R:3:forces:R:3:nbo_charge:R:1
O 2.051 6.071 -0.032 -0.02 0.00 0.00 -0.493
F 1.392 0.544 3.530 -0.10 0.12 -0.02 -0.318
B -1.076 -0.774 2.116 -0.39 0.30 -0.16 0.853
C 1.754 0.058 2.332 -0.75 -0.33 0.31 0.744
H 1.082 -3.554 -1.007 -0.08 0.02 -0.03 0.215
H 2.807 5.146 1.671 -0.04 -0.08 -0.03 0.194
O 4.750 4.552 5.090 0.03 -0.01 0.02 -0.636
C -5.227 -5.233 -3.107 0.01 0.00 -0.03 0.978
H 3.690 6.422 6.637 0.06 -0.03 -0.02 0.195
O 0.967 -1.998 0.774 -0.06 0.45 -0.02 -0.908
H -4.350 -2.810 -2.588 -0.03 -0.06 0.04 0.185
H -7.513 -6.445 -2.667 0.04 0.01 0.06 0.192
O -1.936 -1.014 3.143 0.92 0.51 0.47 -0.861
C 1.943 5.723 1.352 0.01 0.09 0.20 -0.254
H -7.204 -7.604 -3.981 0.03 0.03 -0.05 0.194
H 3.030 1.963 3.083 -0.02 0.27 -0.11 0.182
O 2.833 5.727 4.873 -0.01 0.02 -0.02 -0.500
H -0.665 -2.488 -5.370 -0.04 -0.01 0.05 0.190
H 2.678 7.557 5.715 -0.05 -0.04 -0.04 0.196
O -5.883 -6.079 -3.905 0.00 -0.01 -0.02 -0.496
C 0.304 -4.019 -3.468 0.06 0.02 0.04 0.985
H 1.371 3.824 -3.066 0.02 -0.04 0.05 0.192
B -2.759 0.112 3.307 -0.55 -0.13 -0.17 1.008
H 4.581 2.819 3.075 0.04 0.03 0.06 0.195
O 2.957 3.778 3.956 -0.05 -0.03 -0.02 -0.500
H 1.909 6.657 1.904 0.01 0.06 -0.10 0.197
H -3.127 -2.930 -3.871 0.00 -0.06 -0.06 0.196
O -1.485 0.001 1.073 -0.17 -0.63 -0.15 -0.869
H -0.157 -3.645 -6.620 0.06 -0.03 0.02 0.198
+++
# Wanted
Could you retype the lines further above from the one with "0.11 -0.01" to the one with "eV/Å." unchanged?
# Completed
C -1.328 3.010 -2.082 0.06 0.11 -0.01 0.674
H 2.826 -2.960 1.860 0.02 -0.03 -0.02 0.211
H 0.222 -1.791 5.739 0.05 0.01 -0.07 0.267
C 3.745 -2.459 1.555 -0.06 0.10 -0.20 -0.617
H 4.375 -1.814 -1.327 -0.07 -0.12 0.07 0.249
Cl -5.888 -1.976 -5.114 0.36 -0.24 0.29 -0.259
H 4.365 -0.584 0.674 -0.07 0.07 -0.10 0.240
C -0.064 -1.455 3.604 -0.06 0.00 -0.41 0.030
Pt -1.488 -0.138 -1.788 1.37 -0.32 0.58 1.188
C -2.770 -1.448 4.241 -0.05 -0.08 0.45 0.018
Cl -5.551 -4.009 -2.203 0.20 0.14 -0.41 -0.289
H 2.892 -1.914 -2.284 0.08 -0.14 0.11 0.229
H 0.992 -1.511 3.372 0.02 0.05 0.03 0.259
```
Positions in Å, forces in eV/Å.